Welcome to the International Cartographic Association
Welcome to the website of the International Cartographic AssociationGet to know the new ICA Executive Committee for the term 2023-2027Get to know the ICA Commissions for the term 2023-2027
Welcome to the website of the International Cartographic Association
Get to know the new ICA Executive Committee for the term 2023-2027
Get to know the ICA Commissions for the term 2023-2027

Announcement of the Pre-ICC Workshop Cartography for Specific Users

The Commissions on Cartography and Children, Maps and Graphics for Blind and Partially Sighted People and Planetary Cartography have the pleasure to invite all interested colleagues to participate in our Joint ICA Workshop on Cartography for Specific Users, to be held in Tokyo, Japan on July 15, 2019.

General Information

The National Museum of Emerging Science and Innovation (Miraikan) is the venue of the Joint ICA Worshop on Cartography for specific users.

Participation in the event is free, but registration is needed. The registration can be made on the event website.


  • Deadline for the submission of papers and abstracts with registration form: April 22, 2019
  • Notification of the authors: May 6, 2019
  • Deadline for the submission of the registration form (without full paper, only participant): June 10, 2019

Organizing Committee

  • Carla Cristina R. G. de Sena, Chair, ICA Commission on Cartography and Children (Brazil)
  • José Jesús Reyes Nunez, Vice-Chair, ICA Commission on Cartography and Children (Hungary)
  • Alejandra Coll Escanilla, Chair, ICA Commission on Maps and Graphics for Blind and Partially Sighted People (Chile)
  • Waldirene Ribeiro, Vice-Chair, ICA Commission on Maps and Graphics for Blind and Partially Sighted People (Brazil)
  • Henrik Hargitai, Chair, ICA Commission on Planetary Cartography (Hungary)
  • Irina Petrovna Karachevtseva, Vice-Chair, ICA Commission on Planetary Cartography (Russia)


Please find more information on the workshop website: icaworkshop2019.elte.hu. Do not hesitate to contact the organizers if you have any question or need more information.

An overview over the ICC2017 Pre-Conference Workshops


Many ICA commissions use the days before the ICC conference for dedicated workshops on their fields of research. This year, the following workshops will take place:

Charting the Cosmos of Cartography: History – Names – Atlases

Meeting on Maps & the Internet, Ubiquitous Mapping and Education & Training

Mapping Tools for Non-Mapping Experts: Incorporating Geospatial Visualization Tools in Libraries

........
Calculated powder X-ray diffraction pattern
Compound: Cs2NpSnS5
Radiation: Cu Kα (λ = 1.5418 Å)
Structure: a PBE-relaxed structure

Peak list (8 most intense, 2θ = 10–90°, sorted by position)
d (Å)  I_rel  hkl
6.015  40  0 2 2
4.481  64  0 2 3
3.541  44  1 3 0
3.445  42  1 3 1
3.267  52  0 6 1
3.164  100  1 1 3
2.700  32  1 5 2
2.085  32  2 0 0

Structural model:
```
data_Cs2NpSnS5
_symmetry_space_group_name_H-M 'C m c 21'
_symmetry_Int_Tables_number 36
_symmetry_space_group_name_Hall 'C 2c -2'
_cell_length_a 4.170
_cell_length_b 20.085
_cell_length_c 15.021
_cell_angle_alpha 90.00
_cell_angle_beta 90.00
_cell_angle_gamma 90.00
loop_
_atom_site_label
_atom_site_fract_x
_atom_site_fract_y
_atom_site_fract_z
_atom_site_occupancy
Cs1 0.000 0.119 0.000 1
Cs2 0.000 0.137 0.645 1
Np1 0.000 0.204 0.353 1
Sn1 0.000 0.437 0.752 1
S1 0.000 0.058 0.351 1
S2 0.000 0.297 0.962 1
S3 0.000 0.315 0.727 1
S4 0.000 0.325 0.328 1
S5 0.000 0.497 0.619 1
```

***

Calculated powder X-ray diffraction pattern
Compound: CsNpTeS
Radiation: Cu Kα (λ = 1.5418 Å)
Structure: a PBE-relaxed structure

Peak list (8 most intense, 2θ = 10–90°, sorted by position)
d (Å)  I_rel  hkl
8.670  50  0 0 3
4.335  23  0 0 6
3.701  29  1 0 1
3.594  77  0 1 2
3.036  100  0 1 5
2.636  64  1 0 7
2.454  22  0 1 8
2.159  54  1 1 0

Structural model:
```
data_CsNpTeS
_symmetry_space_group_name_H-M 'R 3 m'
_symmetry_Int_Tables_number 160
_symmetry_space_group_name_Hall 'R 3 -2"'
_cell_length_a 4.3178
_cell_length_b 4.3178
_cell_length_c 26.0101
_cell_angle_alpha 90.00
_cell_angle_beta 90.00
_cell_angle_gamma 120.00
loop_
_atom_site_label
_atom_site_fract_x
_atom_site_fract_y
_atom_site_fract_z
_atom_site_occupancy
Cs1 0.0000 0.0000 0.0000 1
Np1 0.0000 0.0000 0.1548 1
Te1 0.0000 0.0000 0.5606 1
S1 0.0000 0.0000 0.7708 1
```

***

Calculated powder X-ray diffraction pattern
Compound: Cs2NpTiS5
Radiation: Cu Kα (λ = 1.5418 Å)
Structure: a PBE-relaxed structure

Peak list (8 most intense, 2θ = 10–90°, sorted by position)
d (Å)  I_rel  hkl
5.930  38  0 2 2
4.419  64  0 2 3
3.500  37  1 3 0
3.407  23  1 3 1
3.219  39  0 6 1
3.129  100  1 1 3
2.666  31  1 5 2
2.471  22  0 0 6

Structural model:
```
data_Cs2NpTiS5
_symmetry_space_group_name_H-M 'C m c 21'
_symmetry_Int_Tables_number 36
_symmetry_space_group_name_Hall 'C 2c -2'
_cell_length_a 4.131
_cell_length_b 19.785
_cell_length_c 14.816
_cell_angle_alpha 90.00
_cell_angle_beta 90.00
_cell_angle_gamma 90.00
loop_
_atom_site_label
_atom_site_fract_x
_atom_site_fract_y
_atom_site_fract_z
_atom_site_occupancy
Cs1 0.000 0.124 0.000 1
Cs2 0.000 0.133 0.646 1
Np1 0.000 0.198 0.346 1
Ti1 0.000 0.434 0.752 1
S1 0.000 0.053 0.331 1
S2 0.000 0.305 0.958 1
S3 0.000 0.320 0.719 1
S4 0.000 0.321 0.325 1
S5 0.000 0.489 0.626 1
```

***

Calculated powder X-ray diffraction pattern
Compound: Cs3TmNp3S8
Radiation: Cu Kα (λ = 1.5418 Å)
Structure: a PBE-relaxed structure

Peak list (8 most intense, 2θ = 10–90°, sorted by position)
d (Å)  I_rel  hkl
8.173  52  0 0 1
........

Different Fields – One Cartography

Supporting sustainable development with geoinformation management and modern maps: things you hardly consider

Workshop on Maps & Emotions

Workshop on Spatial Data Infrastructures, Standards, Open Source and Open Data for Geospatial (SDI-Open 2017)

Workshop on Generalisation and Multiple Representation

Symposium on Location-Based Social Media and Tracking Data

Critical Review on Using Developable Surfaces in Map Projections Theory & Standardization in Map Projections

  • Date: July 2
  • Location: Marriott Wardman Park Hotel, Washington, DC
  • Involved commission: Map Projections

Disaster Management, Big Data, Services and Cartographic Representation

Preserving Map Production Methodology Information

Invitation to the Joint ICC Pre-Conference Workshop Different Fields – One Cartography

The ICA Commissions on Cartography and Children, Maps and Graphics for Blind and Partially Sighted People and Planetary Cartography have the pleasure to invite you to a one-day workshop on July 1, prior to the 28th International Cartographic Conference.

Key dates

  • 30 March 21 April: Deadline for the submission of full papers with registration form
  • 17 April: Notification of the authors
  • 6 June: Deadline for the submission of the registration form (without full paper, only participant)
  • 1 July: Workshop at the Marriott Wardman Park Hotel

Local Organizer: David Alvarez, JMT Technology Group (USA)

For more information, please visit the conference website: lazarus.elte.hu/~jesus/jointworkshop2017

Pluto and Charon mapped – for children

Pluto and Charon Map

The new map showing the New Horizons encounter hemispheres of Pluto and Charon is the result of a cooperation between the worlds of planetary science, cartography and arts.

It is the 7th map in the series of multilingual maps of planets and moons designed for children.

The map shows the geology of the surface together with characters taken from the informal nomenclature.

The map of the double planet, the larger named after Pluto, the god of the underworld; and the smaller after Charon, the ferryman between the worlds of the living and the dead, has the theme of the Halloween.

A specialty of this map compared to other, “scientific” maps is that while keeping cartographic accuracy, it links arts and science, and visualizes features in a way that is easier to interpret for the non-scientists.

The map premiered at the AGU Fall Meeting in San Francisco last week.

The map is joint effort of graphic artist Adrienn Gyöngyösi and scientists working at NASA and SETI Institute (Henrik Hargitai, editor; and Ross Beyer who contributed with the text describing Pluto).

This nonprofit project is supported by the International Cartographic Association.

The map is free to download at childrensmaps.wordpress.com

Contact: henrik.i.hargitai//at//nasa.gov [ Press release ]

President’s Blog: A map perspective on the sustainable development goals

The Sustainable Development Goals, officially known as Transforming our world: the 2030 Agenda for Sustainable Development are a UN Initiative. Official website: https://sustainabledevelopment.un.org

In the light of the International Map Year (IMY), the ICA and its commissions are highlighting the value of cartography by “mapping” the UN sustainable development goals.

In the past months, a set of posters has been created, one for each sustainable development goal. They do not map the goals and their target based on indicators as such. The poster series tells the story of cartographic diversity, of mapping options, and of multiple map perspectives. Each of the goals has been mapped from a particular perspective by different ICA Commissions. All posters have a short take-home-message that should make one aware of particular strengths of the map.

The posters as well as the catalog for the poster exhibition can be found on icaci.org/maps-and-sustainable-development-goals

A huge thank you to all commissions involved and to Wim Feringa from ITC for the poster design and production. Let’s make the world a better place with maps!

Menno-Jan Kraak
– President of the International Cartographic Association

What kind of map is needed to best aid human explorers of Mars? A Call for Maps by the ICA Commission on Planetary Cartography

**Between two parts of the article: calculated crystals:**
┌──
# 1
AcCe2GaCo: theoretical powder XRD pattern (Cu Kα (λ = 1.5418 Å)), based on a PBE-relaxed structure.

The 10 most intense peaks (5° ≤ 2θ ≤ 70°), most intense first:
- hkl 1 1 1, 29.4°, rel. 100
- hkl 2 0 0, 36.5°, rel. 50
- hkl 2 0 2, 47.1°, rel. 34
- hkl 0 0 2, 28.8°, rel. 32
- hkl 1 0 0, 18.0°, rel. 31
- hkl 1 0 2, 34.2°, rel. 27
- hkl 3 1 1, 61.3°, rel. 26
- hkl 2 2 0, 52.5°, rel. 17
- hkl 2 1 2, 50.8°, rel. 17
- hkl 2 2 2, 61.0°, rel. 16

Structural model:
abc: 4.928 4.928 6.197
angles: 90.00 90.00 90.00
Space group P4mm (No. 99)
One atom of each set of equivalent atoms:
Ac  0.000  0.000  0.000
Ce  0.000  0.500  0.469
Ga  0.500  0.500  0.137
Co  0.000  0.000  0.508

# 2
CdIn4Sn4: theoretical powder XRD pattern (Cu Kα (λ = 1.5418 Å)), based on a PBE-relaxed structure.

The 8 most intense peaks (5° ≤ 2θ ≤ 70°), most intense first:
- hkl 3 0 1, 32.5°, rel. 100
- hkl 3 3 0, 38.1°, rel. 32
- hkl 6 3 1, 65.3°, rel. 26
- hkl 3 3 2, 54.1°, rel. 23
- hkl 0 0 2, 36.9°, rel. 18
- hkl 3 0 3, 63.8°, rel. 14
- hkl 6 0 2, 68.1°, rel. 12
- hkl 6 0 0, 54.9°, rel. 11

Structural model:
abc: 10.027 10.027 4.867
angles: 90.00 90.00 90.00
Space group I4/mmm (No. 139)
One atom of each set of equivalent atoms:
Cd  0.000  0.000  0.000
In  0.000  0.329  0.000
Sn  0.164  0.164  0.500

# 3
PmPr4Ho2Sc: theoretical powder XRD pattern (Cu Kα (λ = 1.5418 Å)), based on a PBE-relaxed structure.

The 10 most intense peaks (5° ≤ 2θ ≤ 70°), most intense first:
- hkl 1 1 2, 31.9°, rel. 100
- hkl 2 0 0, 30.2°, rel. 58
- hkl 3 1 2, 54.7°, rel. 43
- hkl 2 2 0, 43.2°, rel. 22
- hkl 2 0 4, 58.0°, rel. 18
- hkl 2 2 4, 66.8°, rel. 12
- hkl 0 0 4, 48.3°, rel. 8
- hkl 4 0 0, 62.7°, rel. 7
- hkl 1 1 1, 24.3°, rel. 4
- hkl 1 0 1, 19.1°, rel. 3

Structural model:
abc: 5.927 5.927 7.532
angles: 90.00 90.00 90.00
Space group P4/mmm (No. 123)
One atom of each set of equivalent atoms:
Pm  0.000  0.000  0.000
Pr  0.000  0.500  0.245
Ho  0.000  0.000  0.500
Ho  0.500  0.500  0.500
Sc  0.500  0.500  0.000

# 4
La2Sm2Hg3: theoretical powder XRD pattern (Cu Kα (λ = 1.5418 Å)), based on a PBE-relaxed structure.

The 10 most intense peaks (5° ≤ 2θ ≤ 70°), most intense first:
- hkl 0 2 0, 33.5°, rel. 100
- hkl 6 0 -2, 60.0°, rel. 37
- hkl 2 2 2, 48.2°, rel. 18
- hkl 0 0 1, 10.1°, rel. 9
- hkl 2 0 0, 20.4°, rel. 7
- hkl 2 0 -3, 30.7°, rel. 5
- hkl 1 1 0, 19.5°, rel. 4
- hkl 2 2 0, 39.5°, rel. 4
- hkl 3 1 0, 35.1°, rel. 3
- hkl 1 1 -2, 25.7°, rel. 3

Structural model:
abc: 9.254 5.344 9.258
angles: 90.00 109.39 90.00
Space group C2/m (No. 12)
One atom of each set of equivalent atoms:
La  0.128  0.000  0.386
Sm  0.122  0.500  0.866
Hg  0.000  0.000  0.000
Hg  0.246  0.500  0.238

# 5
Ca2Ac8La: theoretical powder XRD pattern (Cu Kα (λ = 1.5418 Å)), based on a PBE-relaxed structure.

The 10 most intense peaks (5° ≤ 2θ ≤ 70°), most intense first:
- hkl 0 4 1, 28.4°, rel. 100
- hkl 3 1 1, 28.8°, rel. 76
- hkl 0 0 2, 29.8°, rel. 45
- hkl 3 3 0, 30.1°, rel. 40
- hkl 3 7 1, 52.2°, rel. 35
└──

2035 marks the target date for the first human landing on Mars as planned by NASA. In 2015, 47 landing sites or Exploration Zones (EZ) have been proposed by the planetary science community. These should be mapped in high detail in the forthcoming years to enable proper comparison of the 47 sites and the selection of the one finalist. For this task, the ICA Commission on Planetary Cartography opened a Call for Maps.


The project is to select one candidate landing site and design an actual map that you envision will be useful in surface operations. We ask that you do not create simply a geologic map, but rather a product that can be used by the astronauts during their approximately one-year long mission within the Exploration Zone. This requires creativity, and it is also useful to have a good knowledge of surface features, surface hazards, science goals and the use of the proper cartographic tools.

The contest is open to students, young professional cartographers, and graphic artists in any country of the world.

The display and format of the maps entirely up to the participants. All submitted maps must be accompanied by a short paper (in the English language). Deadline for the submission of maps and papers is September 1, 2016.

Please find all details about the competition on the following website:

The contest is part of the International Map Year activities.

Joint ICA meeting in Vienna, November 8–9


All chairs and vice-chairs of the ICA commissions and working groups were invited to join an ICA meeting in Vienna on 8–9 November 2015 to plan and discuss their activities for the term 2015–2019. 46 chairs, vice-chairs and members of the executive committee followed the invitation and spent two intensive workshop days at Technische Universität Wien.

Meeting participants

Commission chairs and vice-chairs

Working Group International Map Year

Executive Committee


More photos of the workshop can be found on the ICA Facebook page.

Get to know the new ICA commissions for the term 2015–2019

_Between two parts of the text: records of crystals_
/*
Calculated powder diffraction line list of K3RbPd8 for Cu Ka, from a GGA-PBE-relaxed structure.

Cell: 9.7672 9.7672 9.7672 Å, 33.47 33.47 33.47°
Fractional positions:
K 0.0000 0.0000 0.0000
K 0.1249 0.1249 0.1249
K 0.4995 0.4995 0.4995
Rb 0.6251 0.6251 0.6251
Pd 0.0617 0.0617 0.5611
Pd 0.0617 0.5611 0.0617
Pd 0.0641 0.5627 0.5627
Pd 0.3125 0.3125 0.3125
Pd 0.5611 0.0617 0.0617
Pd 0.5627 0.0641 0.5627
Pd 0.5627 0.5627 0.0641
Pd 0.8123 0.8123 0.8123

Main lines, in order of rising 2θ (2θ from 15° to 90°):
2θ/deg, I (rel.)
19.31, 44.1
31.79, 10.2
37.46, 100.0
39.12, 16.5
39.22, 49.0
45.57, 18.6
60.34, 7.9
60.44, 23.6
66.35, 15.1
66.50, 15.1
78.88, 8.0
79.96, 17.8


Calculated powder diffraction line list of K3Rb7Pd for Cu Ka, from a GGA-PBE-relaxed structure.

Cell: 8.6932 8.6932 12.7239 Å, 106.63 106.63 98.83°
Fractional positions:
K 0.0000 0.0000 0.0000
K 0.5512 0.8912 0.1242
K 0.8912 0.5512 0.1242
Rb 0.1069 0.4609 0.8286
Rb 0.3327 0.9817 0.4233
Rb 0.4362 0.4362 0.2524
Rb 0.4609 0.1069 0.8286
Rb 0.5416 0.5416 0.6898
Rb 0.9047 0.9047 0.5707
Rb 0.9817 0.3327 0.4233
Pd 0.2225 0.2225 0.6266

Main lines, in order of rising 2θ (2θ from 15° to 90°):
2θ/deg, I (rel.)
15.54, 39.7
20.56, 42.3
22.03, 100.0
22.17, 49.9
24.67, 64.2
24.85, 66.6
27.03, 44.3
29.27, 33.7
35.45, 23.8
36.95, 27.4
41.88, 31.0
41.95, 23.4

* * * * *

# 1
This entry pairs a crystal structure of Nd3Dy6Er2 with its theoretical powder diffraction line list. Radiation: copper Kα. Structure: a structure optimized by DFT (GGA-PBE).
Intensities are scaled so that the largest is 100.

Cell and atoms:
```
data_Nd3Dy6Er2
_chemical_formula_sum 'Nd9 Dy18 Er6'
_cell_length_a 5.6500
_cell_length_b 5.6500
_cell_length_c 38.8956
_cell_angle_alpha 90.00
_cell_angle_beta 90.00
_cell_angle_gamma 120.00
_symmetry_space_group_name_H-M 'R -3 m'
_symmetry_Int_Tables_number 166
_symmetry_space_group_name_Hall '-R 3 2"'
loop_
_atom_site_label
_atom_site_fract_x
_atom_site_fract_y
_atom_site_fract_z
_atom_site_occupancy
Nd1 0.0000 0.0000 0.0000 1
Nd2 0.0000 0.0000 0.2625 1
Dy1 0.0000 0.0000 0.0842 1
Dy2 0.0000 0.0000 0.1706 1
Dy3 0.0000 0.0000 0.3637 1
Er1 0.0000 0.0000 0.4555 1
```

Most intense lines, 2θ = 10–90°, in order of rising 2θ:
index	d/Å	I/Imax
1 0 10	3.045	10
0 1 11	2.866	82
1 1 0	2.825	100
2 0 11	2.012	30
1 0 22	1.663	8
1 2 11	1.639	31
3 0 0	1.631	20
1 1 21	1.549	9
2 2 0	1.413	12
3 1 11	1.267	13

# 2
This entry pairs a crystal structure of Tc5Te with its theoretical powder diffraction line list. Radiation: copper Kα. Structure: a structure optimized by DFT (GGA-PBE).
Intensities are scaled so that the largest is 100.

Cell and atoms:
```
data_Tc5Te
_chemical_formula_sum 'Tc5 Te1'
_cell_length_a 4.8724
_cell_length_b 4.8724
_cell_length_c 4.5059
_cell_angle_alpha 90.00
_cell_angle_beta 90.00
_cell_angle_gamma 120.00
_symmetry_space_group_name_H-M 'P -6 2 m'
_symmetry_Int_Tables_number 189
_symmetry_space_group_name_Hall 'P -6 -2'
loop_
_atom_site_label
_atom_site_fract_x
_atom_site_fract_y
*/

27 commissions and 3 working groups were elected for the term 2015–2019 by the ICA General Assembly 2015. We are currently in the process of updating the website to reflect these changes. Also some of the commissions are still preparing or updating their websites. In the meantime, we invite you to have a look at the short “Commissions at a glance” presentations, which the new commissions chairs gave during ICC 2015:


Updates on the Joint ICA Symposium on Cartography Beyond the Ordinary World

The organizers of the Joint ICA Symposium on Cartography Beyond the Ordinary World decided to extend the deadlines as follows:

  • Submission of abstracts: 10 April 2015
  • Notification of authors about acceptance: 23 April 2015
  • Submission of full papers and abstracts for posters together with the registration form: 26 May 2015
  • Arrival of registration form (for participants only) and payment: 10 June 2015

The ICA Commissions on Cartography and Children, Maps for Blind and Visually Impaired People, Planetary Cartography and Cartography for Early Warning and Crisis Management invite all of you to participate in this event. More detailed information can be found on the symposium website: niteroi2015.elte.hu

The event will be held in the Institute of Geosciences of the Fluminense Federal University in Niteroi (Brazil) during the 21st and 22nd of August, 2015 and it is organized within the International Map Year as well as the activities previous to ICC 2015 in Rio de Janeiro.

Looking forward to meeting you in Niteroi next August!

On behalf of the four participating commissions and local organizers,
Jesus Reyes
